== Source ==
Structure and computed XRD peak list of Sc4SnTe4 (the GGA-PBE geometry in Alexandria; Cu Kα X-rays).

Atomic structure:
```
data_Sc4SnTe4
_space_group_name_H-M_alt 'C 1 2/m 1'
_space_group_IT_number 12
_cell_length_a 13.9248
_cell_length_b 4.1151
_cell_length_c 10.2464
_cell_angle_alpha 90.00
_cell_angle_beta 120.36
_cell_angle_gamma 90.00
loop_
_space_group_symop_operation_xyz
'x,y,z'
'-x,-y,-z'
'-x,y,-z'
'x,-y,z'
'x+1/2,y+1/2,z'
'-x+1/2,-y+1/2,-z'
'-x+1/2,y+1/2,-z'
'x+1/2,-y+1/2,z'
loop_
_atom_site_label
_atom_site_type_symbol
_atom_site_fract_x
_atom_site_fract_y
_atom_site_fract_z
Sc1 Sc 0.0981 0.0000 0.4015
Sc2 Sc 0.1982 0.5000 0.8025
Sn1 Sn 0.0000 0.5000 0.5000
Te1 Te 0.1007 0.0000 0.9007
Te2 Te 0.1970 0.5000 0.2972
```

Top 10 peaks for 10 to 80 degrees two-theta, most intense first:
- 30.4°, I 100, hkl 3 1 -2
- 43.6°, I 72, hkl 5 1 0
- 30.6°, I 49, hkl 2 0 2
- 26.1°, I 44, hkl 2 0 -3
- 26.5°, I 42, hkl 1 1 1
- 51.9°, I 21, hkl 4 2 -1
- 53.6°, I 19, hkl 4 0 -6
- 43.0°, I 19, hkl 6 0 -4
- 54.5°, I 18, hkl 2 2 2
- 44.0°, I 18, hkl 0 2 0

~~~~~

Theoretical PXRD pattern of Th2Zn12Pd5 for Cu Ka, from DFT lattice parameters and positions (GGA-PBE).
No peak broadening, texture or thermal motion is included.

Structure:
abc: 6.882 6.882 6.882
angles: 83.83 83.83 83.83
Sites, in units of the cell vectors:
Th 0.173 0.173 0.173
Th 0.827 0.827 0.827
Zn 0.150 0.150 0.660
Zn 0.150 0.660 0.150
Zn 0.212 0.500 0.788
Zn 0.212 0.788 0.500
Zn 0.340 0.850 0.850
Zn 0.500 0.212 0.788
Zn 0.500 0.788 0.212
Zn 0.660 0.150 0.150
Zn 0.788 0.212 0.500
Zn 0.788 0.500 0.212
Zn 0.850 0.340 0.850
Zn 0.850 0.850 0.340
Pd 0.000 0.500 0.500
Pd 0.393 0.393 0.393
Pd 0.500 0.000 0.500
Pd 0.500 0.500 0.000
Pd 0.607 0.607 0.607

Principal peaks in the range 2θ = 10–80°, by angle:
- 3.171 Å, intensity 46
- 2.736 Å, intensity 24
- 2.654 Å, intensity 50
- 2.299 Å, intensity 93
- 2.270 Å, intensity 100
- 2.219 Å, intensity 20
- 2.192 Å, intensity 78
- 2.035 Å, intensity 25
- 1.615 Å, intensity 21
- 1.586 Å, intensity 30
- 1.327 Å, intensity 23
- 1.279 Å, intensity 24

---

Theoretical PXRD pattern of Rb7Te6As for Cu Ka, from DFT lattice parameters and positions (GGA-PBE).
No peak broadening, texture or thermal motion is included.

Structure:
abc: 13.450 13.450 13.450
angles: 140.08 100.75 92.67
Sites, in units of the cell vectors:
Rb 0.019 0.227 0.246
Rb 0.088 0.537 0.872
Rb 0.165 0.037 0.449
Rb 0.250 0.250 0.000
Rb 0.335 0.784 0.872
Rb 0.412 0.284 0.449
Rb 0.481 0.727 0.209
Rb 0.519 0.273 0.791
Rb 0.588 0.716 0.551
Rb 0.665 0.216 0.128
Rb 0.750 0.750 0.000
Rb 0.835 0.963 0.551
Rb 0.912 0.463 0.128
Rb 0.981 0.773 0.754
Te 0.083 0.843 0.578
Te 0.166 0.955 0.121
Te 0.235 0.657 0.240
Te 0.265 0.505 0.422
Te 0.334 0.455 0.790
Te 0.417 0.995 0.760
Te 0.583 0.005 0.240
Te 0.666 0.545 0.210
Te 0.735 0.495 0.578
Te 0.765 0.343 0.760
Te 0.834 0.045 0.879
Te 0.917 0.157 0.422
As 0.250 0.750 0.500
As 0.750 0.250 0.500

Principal peaks in the range 2θ = 10–80°, by angle:
- 6.301 Å, intensity 35
- 6.103 Å, intensity 70
- 4.405 Å, intensity 52
- 4.084 Å, intensity 44
- 3.804 Å, intensity 77
- 3.711 Å, intensity 45
- 3.516 Å, intensity 35
- 3.098 Å, intensity 100
- 2.970 Å, intensity 52
- 2.848 Å, intensity 49
- 2.459 Å, intensity 33
- 1.628 Å, intensity 47

---

Theoretical PXRD pattern of TlZnIn for Cu Ka, from DFT lattice parameters and positions (GGA-PBE).
No peak broadening, texture or thermal motion is included.

Structure:
abc: 6.662 6.552 3.516
angles: 76.30 72.85 30.85
Sites, in units of the cell vectors:
Tl 0.000 0.000 0.000
Zn 0.336 0.336 0.664
In 0.699 0.699 0.301

Principal peaks in the range 2θ = 10–80°, by angle:
- 3.358 Å, intensity 24
- 3.061 Å, intensity 10
- 2.653 Å, intensity 100
- 2.628 Å, intensity 26
- 2.336 Å, intensity 19
- 2.041 Å, intensity 9
- 1.746 Å, intensity 15
- 1.612 Å, intensity 9
- 1.564 Å, intensity 9
- 1.522 Å, intensity 18
- 1.402 Å, intensity 14
- 1.327 Å, intensity 9

---
== Wanted ==
Print only the last part of the listing further above, starting with the line that has "0.827".
== Worked solution ==
Th 0.827 0.827 0.827
Zn 0.150 0.150 0.660
Zn 0.150 0.660 0.150
Zn 0.212 0.500 0.788
Zn 0.212 0.788 0.500
Zn 0.340 0.850 0.850
Zn 0.500 0.212 0.788
Zn 0.500 0.788 0.212
Zn 0.660 0.150 0.150
Zn 0.788 0.212 0.500
Zn 0.788 0.500 0.212
Zn 0.850 0.340 0.850
Zn 0.850 0.850 0.340
Pd 0.000 0.500 0.500
Pd 0.393 0.393 0.393
Pd 0.500 0.000 0.500
Pd 0.500 0.500 0.000
Pd 0.607 0.607 0.607

Principal peaks in the range 2θ = 10–80°, by angle:
- 3.171 Å, intensity 46
- 2.736 Å, intensity 24
- 2.654 Å, intensity 50
- 2.299 Å, intensity 93
- 2.270 Å, intensity 100
- 2.219 Å, intensity 20
- 2.192 Å, intensity 78
- 2.035 Å, intensity 25
- 1.615 Å, intensity 21
- 1.586 Å, intensity 30
- 1.327 Å, intensity 23
- 1.279 Å, intensity 24

---

Theoretical PXRD pattern of Rb7Te6As for Cu Ka, from DFT lattice parameters and positions (GGA-PBE).
No peak broadening, texture or thermal motion is included.

Structure:
abc: 13.450 13.450 13.450
angles: 140.08 100.75 92.67
Sites, in units of the cell vectors:
Rb 0.019 0.227 0.246
Rb 0.088 0.537 0.872
Rb 0.165 0.037 0.449
Rb 0.250 0.250 0.000
Rb 0.335 0.784 0.872
Rb 0.412 0.284 0.449
Rb 0.481 0.727 0.209
Rb 0.519 0.273 0.791
Rb 0.588 0.716 0.551
Rb 0.665 0.216 0.128
Rb 0.750 0.750 0.000
Rb 0.835 0.963 0.551
Rb 0.912 0.463 0.128
Rb 0.981 0.773 0.754
Te 0.083 0.843 0.578
Te 0.166 0.955 0.121
Te 0.235 0.657 0.240
Te 0.265 0.505 0.422
Te 0.334 0.455 0.790
Te 0.417 0.995 0.760
Te 0.583 0.005 0.240
Te 0.666 0.545 0.210
Te 0.735 0.495 0.578
Te 0.765 0.343 0.760
Te 0.834 0.045 0.879
Te 0.917 0.157 0.422
As 0.250 0.750 0.500
As 0.750 0.250 0.500

Principal peaks in the range 2θ = 10–80°, by angle:
- 6.301 Å, intensity 35
- 6.103 Å, intensity 70
- 4.405 Å, intensity 52
- 4.084 Å, intensity 44
- 3.804 Å, intensity 77
- 3.711 Å, intensity 45
- 3.516 Å, intensity 35
- 3.098 Å, intensity 100
- 2.970 Å, intensity 52
- 2.848 Å, intensity 49
- 2.459 Å, intensity 33
- 1.628 Å, intensity 47

---

Theoretical PXRD pattern of TlZnIn for Cu Ka, from DFT lattice parameters and positions (GGA-PBE).
No peak broadening, texture or thermal motion is included.

Structure:
abc: 6.662 6.552 3.516
angles: 76.30 72.85 30.85
Sites, in units of the cell vectors:
Tl 0.000 0.000 0.000
Zn 0.336 0.336 0.664
In 0.699 0.699 0.301

Principal peaks in the range 2θ = 10–80°, by angle:
- 3.358 Å, intensity 24
- 3.061 Å, intensity 10
- 2.653 Å, intensity 100
- 2.628 Å, intensity 26
- 2.336 Å, intensity 19
- 2.041 Å, intensity 9
- 1.746 Å, intensity 15
- 1.612 Å, intensity 9
- 1.564 Å, intensity 9
- 1.522 Å, intensity 18
- 1.402 Å, intensity 14
- 1.327 Å, intensity 9

---